Listing:
CsS5 | Alexandria via LeMat-Bulk | PBE | relaxed; formation energy without anion corrections = -0.2681 eV/atom; E_tot = -3.85 eV/atom; DOS(E_F) = 0.610 states/eV/atom; ΔE to the lowest computed polymorph = 0 meV/atom; symmetry = P1 (1)
1.0
4.503 1.604 -2.062
-0.775 7.620 -0.042
-3.036 0.387 6.895
Cs S
1 5
Cartesian
0.281 4.623 5.108
3.257 8.052 -1.574
1.879 4.192 1.779
-0.914 7.912 3.504
0.655 6.178 0.019
2.420 2.225 1.965

~~~~~

[1]
DFT (PBE-GGA) results for a relaxed NaHoZnTe3 crystal.

Cell: 8.7544 4.4259 17.9382 Å, 90.00 90.00 90.00°
Space group Pnma (No. 62)
One atom of each set of equivalent atoms:
Na 0.0533 0.2500 0.2123 [4 per cell]
Ho 0.2358 0.2500 0.9544 [4 per cell]
Zn 0.1131 0.2500 0.6505 [4 per cell]
Te 0.0008 0.7500 0.5814 [4 per cell]
Te 0.1264 0.7500 0.0605 [4 per cell]
Te 0.2205 0.2500 0.7854 [4 per cell]

Computed properties:
Its total energy is -3.639 eV per atom. For the total magnetization, the calculation gives 0.00 Bohr magnetons per cell.

[2]
DFT (PBE-GGA) results for a relaxed NaHoZnTe3 crystal.

Cell: 8.8052 4.3102 10.3936 Å, 90.00 105.44 90.00°
Space group P2_1/m (No. 11)
One atom of each set of equivalent atoms:
Na 0.2149 0.2500 0.2482 [2 per cell]
Ho 0.3230 0.7500 0.8548 [2 per cell]
Zn 0.0823 0.2500 0.6024 [2 per cell]
Te 0.0738 0.2500 0.8546 [2 per cell]
Te 0.2350 0.7500 0.5357 [2 per cell]
Te 0.4365 0.7500 0.1597 [2 per cell]

Computed properties:
Its total energy is -3.739 eV per atom. For the total magnetization, the calculation gives 0.02 Bohr magnetons per cell.

[3]
DFT (PBE-GGA) results for a relaxed NaHoZnTe3 crystal.

Cell: 4.2879 14.7543 11.5497 Å, 90.00 90.00 90.00°
Space group Cmcm (No. 63)
One atom of each set of equivalent atoms:
Na 0.0000 0.2359 0.2500 [4 per cell]
Ho 0.0000 0.0000 0.0000 [4 per cell]
Zn 0.0000 0.4689 0.7500 [4 per cell]
Te 0.0000 0.0834 0.7500 [4 per cell]
Te 0.0000 0.3609 0.5660 [8 per cell]

Assignment:
Restate all of the calculation results above character by character.

Outcome:
CsS5 | Alexandria via LeMat-Bulk | PBE | relaxed; formation energy without anion corrections = -0.2681 eV/atom; E_tot = -3.85 eV/atom; DOS(E_F) = 0.610 states/eV/atom; ΔE to the lowest computed polymorph = 0 meV/atom; symmetry = P1 (1)
1.0
4.503 1.604 -2.062
-0.775 7.620 -0.042
-3.036 0.387 6.895
Cs S
1 5
Cartesian
0.281 4.623 5.108
3.257 8.052 -1.574
1.879 4.192 1.779
-0.914 7.912 3.504
0.655 6.178 0.019
2.420 2.225 1.965

~~~~~

[1]
DFT (PBE-GGA) results for a relaxed NaHoZnTe3 crystal.

Cell: 8.7544 4.4259 17.9382 Å, 90.00 90.00 90.00°
Space group Pnma (No. 62)
One atom of each set of equivalent atoms:
Na 0.0533 0.2500 0.2123 [4 per cell]
Ho 0.2358 0.2500 0.9544 [4 per cell]
Zn 0.1131 0.2500 0.6505 [4 per cell]
Te 0.0008 0.7500 0.5814 [4 per cell]
Te 0.1264 0.7500 0.0605 [4 per cell]
Te 0.2205 0.2500 0.7854 [4 per cell]

Computed properties:
Its total energy is -3.639 eV per atom. For the total magnetization, the calculation gives 0.00 Bohr magnetons per cell.

[2]
DFT (PBE-GGA) results for a relaxed NaHoZnTe3 crystal.

Cell: 8.8052 4.3102 10.3936 Å, 90.00 105.44 90.00°
Space group P2_1/m (No. 11)
One atom of each set of equivalent atoms:
Na 0.2149 0.2500 0.2482 [2 per cell]
Ho 0.3230 0.7500 0.8548 [2 per cell]
Zn 0.0823 0.2500 0.6024 [2 per cell]
Te 0.0738 0.2500 0.8546 [2 per cell]
Te 0.2350 0.7500 0.5357 [2 per cell]
Te 0.4365 0.7500 0.1597 [2 per cell]

Computed properties:
Its total energy is -3.739 eV per atom. For the total magnetization, the calculation gives 0.02 Bohr magnetons per cell.

[3]
DFT (PBE-GGA) results for a relaxed NaHoZnTe3 crystal.

Cell: 4.2879 14.7543 11.5497 Å, 90.00 90.00 90.00°
Space group Cmcm (No. 63)
One atom of each set of equivalent atoms:
Na 0.0000 0.2359 0.2500 [4 per cell]
Ho 0.0000 0.0000 0.0000 [4 per cell]
Zn 0.0000 0.4689 0.7500 [4 per cell]
Te 0.0000 0.0834 0.7500 [4 per cell]
Te 0.0000 0.3609 0.5660 [8 per cell]